-- Listing --
'''
# 1
A plane-wave DFT calculation with GGA+U was carried out for NiAsO4 after structural relaxation.

## Properties
* crystal system: orthorhombic
* total DFT energy (no corrections): -5.399 eV/atom

Unit cell a=4.9335 b=5.7982 c=10.1967 alpha=90.00 beta=90.00 gamma=90.00
Last column: magnetic moment on the atom in μB.
Element x y z (fractional)
1 O 0.2605 0.4725 0.3277  -0.08
2 Ni 0.4521 0.7500 0.7688  1.51
3 O 0.6667 0.7500 0.9281  -0.17
4 Ni 0.0479 0.7500 0.2688  1.51
5 O 0.2605 0.0275 0.3277  -0.08
6 O 0.7427 0.2500 0.3947  -0.15
7 O 0.8333 0.7500 0.4281  -0.17
8 O 0.2573 0.7500 0.6053  -0.15
9 O 0.2395 0.0275 0.8277  -0.08
10 O 0.7573 0.2500 0.8947  -0.15
11 O 0.1667 0.2500 0.5719  -0.17
12 O 0.7605 0.9725 0.1723  -0.08
13 O 0.7395 0.9725 0.6723  -0.08
14 As 0.5883 0.7500 0.0919  0.03
15 Ni 0.9521 0.2500 0.7312  1.51
16 O 0.2427 0.7500 0.1053  -0.15
17 O 0.7605 0.5275 0.1723  -0.08
18 As 0.9117 0.7500 0.5919  0.03
19 O 0.3333 0.2500 0.0719  -0.17
20 As 0.4117 0.2500 0.9081  0.03
21 O 0.7395 0.5275 0.6723  -0.08
22 As 0.0883 0.2500 0.4081  0.03
23 Ni 0.5479 0.2500 0.2312  1.51
24 O 0.2395 0.4725 0.8277  -0.08

=====

# 2
A plane-wave DFT calculation with GGA+U was carried out for Ni2AsO2 after structural relaxation.

## Properties
* crystal system: tetragonal
* total DFT energy (no corrections): -4.000 eV/atom

Unit cell a=3.7516 b=3.7516 c=6.1083 alpha=72.12 beta=72.12 gamma=90.00
Last column: magnetic moment on the atom in μB.
Element x y z (fractional)
1 Ni 0.7888 0.7888 0.4224  0.75
2 Ni 0.2112 0.2112 0.5776  0.75
3 O 0.7500 0.2500 0.5000  -0.11
4 As 0.0000 0.0000 0.0000  -0.01
5 O 0.2500 0.7500 0.5000  -0.11

=====

# 3
A plane-wave DFT calculation with GGA+U was carried out for NiAs2O4 after structural relaxation.

## Properties
* crystal system: tetragonal
* total DFT energy (no corrections): -5.733 eV/atom

Unit cell a=8.3483 b=8.3483 c=5.7727 alpha=90.00 beta=90.00 gamma=90.00
Last column: magnetic moment on the atom in μB.
Element x y z (fractional)
1 As 0.6711 0.3144 0.0000  0.01
2 As 0.8289 0.8144 0.0000  0.01
3 Ni 0.0000 0.5000 0.7500  1.78
4 O 0.6063 0.1354 0.5000  0.06
5 As 0.6856 0.6711 0.5000  0.01
6 O 0.8174 0.3174 0.7500  0.03
7 O 0.1354 0.3937 0.0000  0.06
8 As 0.3144 0.3289 0.5000  0.01
9 O 0.3937 0.8646 0.5000  0.06
10 As 0.8144 0.1711 0.5000  0.01
11 O 0.1063 0.3646 0.5000  0.06
12 Ni 0.5000 0.0000 0.7500  1.78
13 As 0.1856 0.8289 0.5000  0.01
14 O 0.3646 0.8937 0.0000  0.06
15 O 0.1826 0.6826 0.2500  0.03
16 As 0.3289 0.6856 0.0000  0.01
17 Ni 0.5000 0.0000 0.2500  1.78
18 O 0.8937 0.6354 0.5000  0.06
19 O 0.1826 0.6826 0.7500  0.03
20 O 0.3174 0.1826 0.7500  0.03
21 O 0.6826 0.8174 0.2500  0.03
22 O 0.3174 0.1826 0.2500  0.03
23 O 0.6826 0.8174 0.7500  0.03
24 O 0.8174 0.3174 0.2500  0.03
25 Ni 0.0000 0.5000 0.2500  1.78
26 O 0.6354 0.1063 0.0000  0.06
27 As 0.1711 0.1856 0.0000  0.01
28 O 0.8646 0.6063 0.0000  0.06

=====

# 4
A plane-wave DFT calculation with GGA+U was carried out for NiAsO2 after structural relaxation.

## Properties
* crystal system: trigonal
* total DFT energy (no corrections): -4.685 eV/atom

Unit cell a=6.2789 b=6.2789 c=6.2789 alpha=29.87 beta=29.87 gamma=29.87
Last column: magnetic moment on the atom in μB.
Element x y z (fractional)
1 As 0.5000 0.5000 0.5000  0.00
2 O 0.1056 0.1056 0.1056  0.02
3 Ni 0.0000 0.0000 0.0000  0.91
4 O 0.8944 0.8944 0.8944  0.02

=====

# 5
A plane-wave DFT calculation with GGA+U was carried out for NiAsO3 after structural relaxation.

## Properties
* crystal system: cubic
* total DFT energy (no corrections): -4.620 eV/atom

Unit cell a=3.7035 b=3.7035 c=3.7035 alpha=90.00 beta=90.00 gamma=90.00
Last column: magnetic moment on the atom in μB.
Element x y z (fractional)
1 O 0.5000 0.0000 0.0000  0.04
2 Ni 0.5000 0.5000 0.5000  1.35
3 O 0.0000 0.0000 0.5000  0.03
4 O 0.0000 0.5000 0.0000  0.07
5 As 0.0000 0.0000 0.0000  0.00

=====

# 6
A plane-wave DFT calculation with GGA+U was carried out for Ni3AsO after structural relaxation.

## Properties
'''

-- Assignment --
What is needed: set down everything above without additions.

-- Here it is --
# 1
A plane-wave DFT calculation with GGA+U was carried out for NiAsO4 after structural relaxation.

## Properties
* crystal system: orthorhombic
* total DFT energy (no corrections): -5.399 eV/atom

Unit cell a=4.9335 b=5.7982 c=10.1967 alpha=90.00 beta=90.00 gamma=90.00
Last column: magnetic moment on the atom in μB.
Element x y z (fractional)
1 O 0.2605 0.4725 0.3277  -0.08
2 Ni 0.4521 0.7500 0.7688  1.51
3 O 0.6667 0.7500 0.9281  -0.17
4 Ni 0.0479 0.7500 0.2688  1.51
5 O 0.2605 0.0275 0.3277  -0.08
6 O 0.7427 0.2500 0.3947  -0.15
7 O 0.8333 0.7500 0.4281  -0.17
8 O 0.2573 0.7500 0.6053  -0.15
9 O 0.2395 0.0275 0.8277  -0.08
10 O 0.7573 0.2500 0.8947  -0.15
11 O 0.1667 0.2500 0.5719  -0.17
12 O 0.7605 0.9725 0.1723  -0.08
13 O 0.7395 0.9725 0.6723  -0.08
14 As 0.5883 0.7500 0.0919  0.03
15 Ni 0.9521 0.2500 0.7312  1.51
16 O 0.2427 0.7500 0.1053  -0.15
17 O 0.7605 0.5275 0.1723  -0.08
18 As 0.9117 0.7500 0.5919  0.03
19 O 0.3333 0.2500 0.0719  -0.17
20 As 0.4117 0.2500 0.9081  0.03
21 O 0.7395 0.5275 0.6723  -0.08
22 As 0.0883 0.2500 0.4081  0.03
23 Ni 0.5479 0.2500 0.2312  1.51
24 O 0.2395 0.4725 0.8277  -0.08

=====

# 2
A plane-wave DFT calculation with GGA+U was carried out for Ni2AsO2 after structural relaxation.

## Properties
* crystal system: tetragonal
* total DFT energy (no corrections): -4.000 eV/atom

Unit cell a=3.7516 b=3.7516 c=6.1083 alpha=72.12 beta=72.12 gamma=90.00
Last column: magnetic moment on the atom in μB.
Element x y z (fractional)
1 Ni 0.7888 0.7888 0.4224  0.75
2 Ni 0.2112 0.2112 0.5776  0.75
3 O 0.7500 0.2500 0.5000  -0.11
4 As 0.0000 0.0000 0.0000  -0.01
5 O 0.2500 0.7500 0.5000  -0.11

=====

# 3
A plane-wave DFT calculation with GGA+U was carried out for NiAs2O4 after structural relaxation.

## Properties
* crystal system: tetragonal
* total DFT energy (no corrections): -5.733 eV/atom

Unit cell a=8.3483 b=8.3483 c=5.7727 alpha=90.00 beta=90.00 gamma=90.00
Last column: magnetic moment on the atom in μB.
Element x y z (fractional)
1 As 0.6711 0.3144 0.0000  0.01
2 As 0.8289 0.8144 0.0000  0.01
3 Ni 0.0000 0.5000 0.7500  1.78
4 O 0.6063 0.1354 0.5000  0.06
5 As 0.6856 0.6711 0.5000  0.01
6 O 0.8174 0.3174 0.7500  0.03
7 O 0.1354 0.3937 0.0000  0.06
8 As 0.3144 0.3289 0.5000  0.01
9 O 0.3937 0.8646 0.5000  0.06
10 As 0.8144 0.1711 0.5000  0.01
11 O 0.1063 0.3646 0.5000  0.06
12 Ni 0.5000 0.0000 0.7500  1.78
13 As 0.1856 0.8289 0.5000  0.01
14 O 0.3646 0.8937 0.0000  0.06
15 O 0.1826 0.6826 0.2500  0.03
16 As 0.3289 0.6856 0.0000  0.01
17 Ni 0.5000 0.0000 0.2500  1.78
18 O 0.8937 0.6354 0.5000  0.06
19 O 0.1826 0.6826 0.7500  0.03
20 O 0.3174 0.1826 0.7500  0.03
21 O 0.6826 0.8174 0.2500  0.03
22 O 0.3174 0.1826 0.2500  0.03
23 O 0.6826 0.8174 0.7500  0.03
24 O 0.8174 0.3174 0.2500  0.03
25 Ni 0.0000 0.5000 0.2500  1.78
26 O 0.6354 0.1063 0.0000  0.06
27 As 0.1711 0.1856 0.0000  0.01
28 O 0.8646 0.6063 0.0000  0.06

=====

# 4
A plane-wave DFT calculation with GGA+U was carried out for NiAsO2 after structural relaxation.

## Properties
* crystal system: trigonal
* total DFT energy (no corrections): -4.685 eV/atom

Unit cell a=6.2789 b=6.2789 c=6.2789 alpha=29.87 beta=29.87 gamma=29.87
Last column: magnetic moment on the atom in μB.
Element x y z (fractional)
1 As 0.5000 0.5000 0.5000  0.00
2 O 0.1056 0.1056 0.1056  0.02
3 Ni 0.0000 0.0000 0.0000  0.91
4 O 0.8944 0.8944 0.8944  0.02

=====

# 5
A plane-wave DFT calculation with GGA+U was carried out for NiAsO3 after structural relaxation.

## Properties
* crystal system: cubic
* total DFT energy (no corrections): -4.620 eV/atom

Unit cell a=3.7035 b=3.7035 c=3.7035 alpha=90.00 beta=90.00 gamma=90.00
Last column: magnetic moment on the atom in μB.
Element x y z (fractional)
1 O 0.5000 0.0000 0.0000  0.04
2 Ni 0.5000 0.5000 0.5000  1.35
3 O 0.0000 0.0000 0.5000  0.03
4 O 0.0000 0.5000 0.0000  0.07
5 As 0.0000 0.0000 0.0000  0.00

=====

# 6
A plane-wave DFT calculation with GGA+U was carried out for Ni3AsO after structural relaxation.

## Properties